Why is SFHFKeychainUtils failing with error errSecAuthFailed in a Cocoa app? - objective-c

The debug build of some code utilizing SFHFKeychainUtils that is working without complaint on the mac which I'm developing on is triggering an error on another mac:
The code makes use of the following methods provided by SFHFKeychainUtils:
+[SFHFKeychainUtils getPasswordForUsername:andServiceName:accessGroup:error:]
+[SFHFKeychainUtils storeUsername:andPassword:forServiceName:accessGroup:updateExisting:updateExisting:error:]
A password is added for a username using +[SFHFKeychainUtils storeUsername:andPassword:forServiceName:accessGroup:updateExisting:updateExisting:error:]. Some time later, an attempt is made to retrieve the password using +[SFHFKeychainUtils getPasswordForUsername:andServiceName:accessGroup:error:]. However, this method is returning the error; its domain is SFHFKeychainUtilsErrorDomain and its code is -25293 (so it is errSecAuthFailed). This error is only returned when a password is in fact stored in the keychain (or at least when it is visible from Keychain Access).
Why is this taking place?

The problem is a lack of code signing. Code signing is required in order for the second machine to access the keychain. The fix was to enable code signing for the debug build.

_Calculated crystals that have nothing to do with the piece_
-- begin --
No. 1
DFT (PBE) results for Na10Zr8Si9S3O48 after structural relaxation.

abc: 9.190 15.912 23.182
angles: 90.05 90.04 90.07
Atoms (fractional coordinates):
Na (0.000, 0.000, 0.000)
Na (0.002, 0.338, 0.664)
Na (0.010, 0.303, 0.330)
Na (0.013, 0.969, 0.663)
Na (0.133, 0.138, 0.497)
Na (0.134, 0.803, 0.830)
Na (0.139, 0.472, 0.167)
Na (0.143, 0.836, 0.165)
Na (0.184, 0.156, 0.169)
Na (0.307, 0.648, 0.916)
Na (0.321, 0.643, 0.417)
Na (0.322, 0.319, 0.251)
Na (0.322, 0.974, 0.582)
Na (0.327, 0.314, 0.749)
Na (0.334, 0.981, 0.081)
Na (0.499, 0.500, 0.000)
Na (0.503, 0.473, 0.666)
Na (0.509, 0.803, 0.330)
Na (0.626, 0.638, 0.497)
Na (0.632, 0.305, 0.831)
Na (0.639, 0.972, 0.167)
Na (0.643, 0.336, 0.165)
Na (0.683, 0.656, 0.169)
Na (0.805, 0.148, 0.919)
Na (0.814, 0.814, 0.752)
Na (0.819, 0.142, 0.415)
Na (0.821, 0.478, 0.582)
Na (0.822, 0.819, 0.252)
Na (0.834, 0.481, 0.082)
Na (0.963, 0.657, 0.670)
Zr (0.309, 0.657, 0.065)
Zr (0.312, 0.328, 0.398)
Zr (0.313, 0.993, 0.732)
Zr (0.321, 0.648, 0.768)
Zr (0.322, 0.988, 0.437)
Zr (0.323, 0.326, 0.102)
Zr (0.323, 0.326, 0.604)
Zr (0.324, 0.647, 0.269)
Zr (0.325, 0.656, 0.566)
Zr (0.326, 0.994, 0.232)
Zr (0.329, 0.991, 0.936)
Zr (0.334, 0.326, 0.897)
Zr (0.809, 0.157, 0.065)
Zr (0.810, 0.828, 0.398)
Zr (0.814, 0.495, 0.730)
Zr (0.818, 0.824, 0.601)
Zr (0.822, 0.154, 0.771)
Zr (0.822, 0.489, 0.437)
Zr (0.823, 0.826, 0.102)
Zr (0.824, 0.147, 0.269)
Zr (0.826, 0.494, 0.232)
Zr (0.828, 0.492, 0.936)
Zr (0.831, 0.159, 0.563)
Zr (0.833, 0.826, 0.898)
Si (0.028, 0.325, 0.501)
Si (0.029, 0.991, 0.835)
Si (0.030, 0.656, 0.168)
Si (0.114, 0.156, 0.667)
Si (0.114, 0.491, 0.334)
Si (0.120, 0.822, 0.000)
Si (0.173, 0.469, 0.001)
Si (0.173, 0.509, 0.666)
Si (0.175, 0.137, 0.335)
Si (0.179, 0.802, 0.668)
Si (0.466, 0.800, 0.169)
Si (0.468, 0.136, 0.833)
Si (0.469, 0.470, 0.501)
Si (0.470, 0.509, 0.164)
Si (0.524, 0.823, 0.500)
Si (0.529, 0.492, 0.835)
Si (0.530, 0.156, 0.168)
Si (0.613, 0.659, 0.667)
Si (0.614, 0.991, 0.334)
Si (0.621, 0.322, 0.000)
Si (0.673, 0.969, 0.001)
Si (0.674, 0.300, 0.669)
Si (0.675, 0.637, 0.335)
Si (0.966, 0.300, 0.169)
Si (0.969, 0.969, 0.502)
Si (0.970, 0.009, 0.164)
Si (0.970, 0.637, 0.833)
S (0.174, 0.842, 0.333)
S (0.175, 0.176, 0.000)
S (0.468, 0.177, 0.500)
S (0.468, 0.844, 0.833)
S (0.674, 0.010, 0.667)
S (0.674, 0.342, 0.333)
S (0.675, 0.676, 0.000)
S (0.968, 0.677, 0.500)
S (0.969, 0.343, 0.833)
O (0.002, 0.168, 0.721)
O (0.003, 0.497, 0.389)
O (0.013, 0.137, 0.609)
O (0.013, 0.835, 0.057)
O (0.015, 0.165, 0.004)
O (0.015, 0.472, 0.276)
O (0.015, 0.810, 0.943)
O (0.015, 0.831, 0.340)
O (0.126, 0.331, 0.841)
O (0.126, 0.666, 0.504)
O (0.130, 0.332, 0.558)
O (0.131, 0.306, 0.444)
O (0.131, 0.636, 0.112)
O (0.132, 0.000, 0.892)
O (0.132, 0.973, 0.778)
O (0.136, 0.675, 0.223)
O (0.144, 0.309, 0.161)
O (0.145, 0.986, 0.496)
O (0.145, 0.996, 0.174)
O (0.146, 0.653, 0.830)
O (0.198, 0.570, 0.611)
O (0.200, 0.744, 0.726)
O (0.200, 0.892, 0.280)
O (0.204, 0.414, 0.060)
O (0.208, 0.079, 0.392)
-- stop --


xero-api Initialise Problems

I have attempted to set up xero-node passing in the consumer key and consumer secret along with the app name as the user Agent. However when I do a test call e.g. xeroClient.core.users.getUsers() the code just seems to freeze not giving any errors however I cannot move any further.
Are you able to post a gist of the code you are using?
What App type are you using (Private, Public or Partner)?
Have you seen the code samples on the main GitHub page? There is also a sample app here: https://github.com/XeroAPI/xero-node-sample-app

-- Data records, kept here for reference --
-- begin --
[1]
# Rb3Na3Sc2Mo6O24

An optimized crystal structure of Rb3Na3Sc2Mo6O24 (PBE with a Hubbard U, the Materials Project database).

Unit cell a=11.0019 b=12.7095 c=18.9880 alpha=90.04 beta=90.00 gamma=90.00
Fractional coordinates of all 152 atoms:
O1 0.9003 0.5483 0.9467
O2 0.4780 0.8373 0.4914
O3 0.1166 0.4978 0.2041
Mo1 0.7127 0.8018 0.7098
O4 0.5220 0.1627 0.5086
O5 0.9780 0.1627 0.0086
Rb1 0.2851 0.3406 0.9652
O6 0.7484 0.1513 0.9389
O7 0.8750 0.1661 0.7920
Mo2 0.5852 0.1432 0.9108
Mo3 0.0467 0.5333 0.1210
O8 0.1164 0.4862 0.8677
O9 0.2246 0.6661 0.7865
O10 0.0826 0.3429 0.5972
O11 0.5997 0.5483 0.4467
O12 0.5826 0.6571 0.9028
Mo4 0.2826 0.8015 0.7853
O13 0.4485 0.0026 0.6158
Sc1 0.2499 0.4990 0.2843
O14 0.3668 0.8176 0.8638
O15 0.2754 0.6661 0.2865
O16 0.6170 0.8197 0.6315
Mo5 0.2174 0.8015 0.2853
O17 0.0997 0.4517 0.0533
Rb2 0.7439 0.0001 0.0667
Mo6 0.7826 0.1985 0.7147
Rb3 0.7241 0.3420 0.5374
O18 0.8830 0.8197 0.1315
O19 0.0220 0.8373 0.9914
O20 0.4837 0.1659 0.9822
Mo7 0.9148 0.1432 0.4108
Mo8 0.2873 0.1982 0.2902
O21 0.6166 0.5022 0.2959
O22 0.0163 0.1659 0.4822
Mo9 0.9536 0.5279 0.3785
Sc2 0.2501 0.4990 0.7843
Mo10 0.4533 0.5333 0.6210
Na1 0.5016 0.0077 0.7527
Rb4 0.2561 0.9999 0.9333
O23 0.8834 0.5022 0.7959
O24 0.3830 0.1803 0.3685
Rb5 0.7149 0.6594 0.0348
Mo11 0.5464 0.5279 0.8785
Rb6 0.2439 0.9999 0.4333
O25 0.2277 0.1497 0.0543
Mo12 0.0464 0.4721 0.6215
O26 0.3341 0.1076 0.7957
Mo13 0.7174 0.1985 0.2147
O27 0.6619 0.1081 0.7063
O28 0.0551 0.7629 0.6554
Rb7 0.7561 0.0001 0.5667
Rb8 0.7851 0.6594 0.5348
O29 0.7723 0.8503 0.9457
Mo14 0.4148 0.8568 0.0892
O30 0.6011 0.4469 0.9468
Mo15 0.0852 0.8568 0.5892
O31 0.7277 0.8503 0.4457
O32 0.3989 0.5531 0.0532
O33 0.6250 0.1661 0.2920
O34 0.5808 0.3320 0.4023
Mo16 0.4536 0.4721 0.1215
O35 0.8803 0.4868 0.6335
Na2 0.9984 0.0077 0.2527
O36 0.6659 0.8924 0.2043
O37 0.1170 0.1803 0.8685
O38 0.6164 0.5138 0.6323
Sc3 0.4252 0.8383 0.6008
O39 0.6256 0.8347 0.7837
O40 0.1250 0.8339 0.2080
Mo17 0.5767 0.8619 0.4155
O41 0.8744 0.8347 0.2837
O42 0.2274 0.3341 0.2873
O43 0.8823 0.4958 0.2939
O44 0.4192 0.6680 0.5977
O45 0.7246 0.3339 0.7135
Mo18 0.7873 0.8018 0.2098
Rb9 0.7759 0.3420 0.0374
Na3 0.9996 0.6710 0.7500
O46 0.6177 0.4958 0.7939
O47 0.2516 0.8487 0.0611
Mo19 0.5467 0.4667 0.3790
O48 0.8668 0.1824 0.6362
O49 0.3834 0.4978 0.7041
O50 0.8381 0.1081 0.2063
Mo20 0.9233 0.8619 0.9155
Na4 0.5710 0.8376 0.9003
O51 0.8341 0.8924 0.7043
O52 0.5551 0.2371 0.8446
O53 0.4475 0.2319 0.6514
Na5 0.9290 0.8376 0.4003
O54 0.0512 0.9842 0.6223
O55 0.9174 0.6571 0.4028
O56 0.2726 0.3341 0.7873
O57 0.9449 0.2371 0.3446
O58 0.9485 0.9974 0.8842
O59 0.0515 0.0026 0.1158
O60 0.8836 0.5138 0.1323
Sc4 0.5748 0.1617 0.3992
Na6 0.4984 0.9923 0.2473
Rb10 0.2759 0.6580 0.4626
Sc5 0.7499 0.5010 0.2157
O61 0.1177 0.5042 0.7061
O62 0.5525 0.7681 0.3486
Rb11 0.2241 0.6580 0.9626
O63 0.1619 0.8919 0.7937
O64 0.4174 0.3429 0.0972
O65 0.1256 0.1653 0.7163
O66 0.1332 0.8176 0.3638
O67 0.6332 0.1824 0.1362
O68 0.8989 0.4469 0.4468
-- stop --

Azure Mobile App - Strange API result only on .NET

Attached: records of crystals:
/*
# 1
Density functional theory data (PBE) for RbPuP2S7 after structural relaxation. Values from VASP.

Structure (Quantum ESPRESSO input):
```
&SYSTEM
  ibrav = 0, nat = 44, ntyp = 4
/
ATOMIC_SPECIES
Rb 85.47 Rb.upf
Pu 244.00 Pu.upf
P 30.97 P.upf
S 32.06 S.upf
CELL_PARAMETERS angstrom
9.951 0.000 0.000
0.000 12.542 0.000
-0.095 0.000 9.094
ATOMIC_POSITIONS crystal
Rb 0.106 0.195 0.133
Rb 0.106 0.305 0.633
Rb 0.894 0.695 0.367
Rb 0.894 0.805 0.867
Pu 0.360 0.641 0.607
Pu 0.360 0.859 0.107
Pu 0.640 0.141 0.893
Pu 0.640 0.359 0.393
P 0.230 0.604 0.976
P 0.230 0.896 0.476
P 0.318 0.035 0.803
P 0.318 0.465 0.303
P 0.682 0.535 0.697
P 0.682 0.965 0.197
P 0.770 0.104 0.524
P 0.770 0.396 0.024
S 0.138 0.559 0.786
S 0.138 0.941 0.286
S 0.140 0.710 0.111
S 0.140 0.790 0.611
S 0.172 0.527 0.431
S 0.172 0.973 0.931
S 0.255 0.050 0.577
S 0.255 0.450 0.077
S 0.358 0.190 0.854
S 0.358 0.310 0.354
S 0.410 0.672 0.924
S 0.410 0.828 0.424
S 0.486 0.557 0.326
S 0.486 0.943 0.826
S 0.514 0.057 0.174
S 0.514 0.443 0.674
S 0.590 0.172 0.576
S 0.590 0.328 0.076
S 0.642 0.690 0.646
S 0.642 0.810 0.146
S 0.745 0.550 0.923
S 0.745 0.950 0.423
S 0.828 0.027 0.069
S 0.828 0.473 0.569
S 0.860 0.210 0.389
S 0.860 0.290 0.889
S 0.862 0.059 0.714
S 0.862 0.441 0.214
```

=====

# 2
Density functional theory data (PBE) for RbP15 after structural relaxation. Values from VASP.

Structure (Quantum ESPRESSO input):
```
&SYSTEM
  ibrav = 0, nat = 32, ntyp = 2
/
ATOMIC_SPECIES
Rb 85.47 Rb.upf
P 30.97 P.upf
CELL_PARAMETERS angstrom
7.609 0.000 0.000
3.509 8.832 0.000
2.579 -0.642 12.611
ATOMIC_POSITIONS crystal
Rb 0.215 0.290 0.498
Rb 0.785 0.710 0.502
P 0.007 0.161 0.095
P 0.011 0.068 0.689
P 0.039 0.608 0.844
P 0.121 0.738 0.195
P 0.126 0.606 0.674
P 0.199 0.910 0.784
P 0.242 0.002 0.305
P 0.294 0.037 0.131
P 0.297 0.621 0.311
P 0.313 0.517 0.906
P 0.334 0.809 0.071
P 0.337 0.708 0.670
P 0.397 0.273 0.868
P 0.479 0.763 0.306
P 0.480 0.412 0.215
P 0.520 0.588 0.785
P 0.521 0.237 0.694
P 0.603 0.727 0.132
P 0.663 0.292 0.330
P 0.666 0.191 0.929
P 0.687 0.483 0.094
P 0.703 0.379 0.689
P 0.706 0.963 0.869
P 0.758 0.998 0.695
P 0.801 0.090 0.216
P 0.874 0.394 0.326
P 0.879 0.262 0.805
P 0.961 0.392 0.156
P 0.989 0.932 0.311
P 0.993 0.839 0.905
```

=====

# 3
Density functional theory data (PBE) for RbP11 after structural relaxation. Values from VASP.

Structure (Quantum ESPRESSO input):
```
&SYSTEM
  ibrav = 0, nat = 48, ntyp = 2
/
ATOMIC_SPECIES
Rb 85.47 Rb.upf
P 30.97 P.upf
CELL_PARAMETERS angstrom
6.868 0.000 0.000
0.000 9.796 0.000
-1.261 0.000 18.722
ATOMIC_POSITIONS crystal
Rb 0.070 0.025 0.172
Rb 0.070 0.475 0.172
Rb 0.930 0.525 0.828
Rb 0.930 0.975 0.828
P 0.130 0.750 0.607
P 0.156 0.096 0.586
P 0.156 0.404 0.586
P 0.204 0.750 0.720
P 0.223 0.133 0.703
P 0.223 0.367 0.703
P 0.249 0.750 0.964
P 0.262 0.750 0.080
P 0.313 0.090 0.977
P 0.313 0.410 0.977
P 0.319 0.589 0.561
P 0.319 0.911 0.561
P 0.353 0.250 0.543
P 0.377 0.750 0.376
P 0.415 0.087 0.362
P 0.415 0.413 0.362
*/

As of 3/21/2017, even after upgrading from Azure client SDK version 2 to 3.0.1, this is still a problem. So... bump.
I have an Azure Mobile App with custom authentication. I am developing a client for iOS and a client for Windows (VB.NET WinForms).
On iOS, everything works just fine. Registration and Login work, and also a standard API call.
On WinForms, all of the pieces works fine, just not exactly when and how I want (i.e., not all of the time).
Registration works.
Login works.
Standard API call works.
What doesn't work is the standard API call after a Login event.
I have put a console.log() line in my API code, and in all cases, it gets to the line just before the res.json() finishing call.
Here's how I am assigning my user to the client in iOS:
NSString *token = dict[#"token"];
NSString *userId = dict[#"userId"];
MSUser *user = [[MSUser alloc] initWithUserId:userId];
[user setMobileServiceAuthenticationToken:token];
client.currentUser = user;
Here's how I am assigning my user to the client in VB.NET:
Dim token = result.Item("token")
Dim userId = result.Item("userId")
Dim user As New MobileServiceUser(userId)
user.MobileServiceAuthenticationToken = token
MobileService.CurrentUser = user
So, the standard workflow is as follows:
User logs in
Program calls standard API method
On iOS, this works flawlessly. I see the log entry on the API output and it immediately returns the correct information to the iOS app.
On Windows.NET, the following 2 scenarios exist:
If I skip the login process and just call the standard API method (which has been set to access "anonymous"), it works.
If I force the login process and then call the standard API method, the code just hangs forever. The log entry does show up on the API output, but waiting several minutes on the .NET debugger yields no output and no error message. It's just (apparently) hung indefinitely.
So, from what I can tell, the following statements apply:
The API code seems to run the same way every time, no matter which platform is calling the code.
The iOS code seems to run correctly.
Logging in always seems to go fine on either platform.
The .NET code runs fine if the *.json permissions are "anonymous" and no Login attempt has been made.
The .NET code breaks (i.e., hangs indefinitely) if the standard API call is sent after logging in.
This would seem, then, to be related to something happening to the MobileServiceClient during my LoginWithResult method. But, from what I can see, it's the EXACT same code (effectively) on both iOS and Windows.
Does anybody see a flaw in my thinking or code?

LsaAddAccountRights Custom Action Returning Error Code in Windows Server 2012

I have a custom action which is used to elevate users to be able to log on as a service. This gets run during the installer. It works fine for years on every Windows operating system up until Windows Server 2012. When the below code is run on this version of Windows instead of getting a long back of 0 for success I get a different error code back.
IntPtr PolicyHandle,
IntPtr AccountSid,
long CountOfRights)
The problem is the code appears to be different every time and is a very large number, e.g. 102938473.
I run the error code through the following method to get the error code but this returns a different large number which doesn't appear to be a valid error code.
LsaNtStatusToWinError(long status)
I have tried looking these error codes up, but with no luck. They seem to be randomly generated and nonsensical.
If I ignore the returned error code, It appears that the user is successfully allowed to log on as a service. So everything appears to be working, except I am getting an error code back. I could ignore this error code, but what happens when it is a valid error, I may ignore it in the future.
Extra Information
I can run the code that is in the Custom action fine on its own in a console application without error. Only when it is part of the wix installer it seems not to work.
I'd take a look at the WiX Util extensions's User element. The name attribute can be a property. Using the CreateUser, LogonAsService and UpdateIfExists attributes you can take an existing account and grant it the rights. Or perhaps you have more code that you can refactor.
Issue could be with the return type of LsaAddAccountRights in C#.
I was able to solve the issue by changing the return type of LsaAddAccountRights in C# from long to UInt32. Found this information here . This change must be done for LsaNtStatusToWinError and LsaClose as well.

Verifying app's signature by code [duplicate]

This question already has answers here:
How to obtain codesigned application certificate info
(2 answers)
Closed 8 years ago.
I have app signed. I created an identity and used codesign to sign my app as per Apple's Code Signing Guide.
Now, how do I check the signature from within my application?
I need to verify this on Cocoa apps (Objective-C) and apps written in C.
You could use NSTask and run "codesign --verify" and check the exit status. Of corse if the program was altered it could be altered to remove the check, so I'm not sure what that buys you.
If you are not worried about directed tampering (like the kind that might remove your check of the signature) you can use the codesign "kill" option, if you do merely executing means the signature is valid (at least for all pages that have been executed so far...but if a not-yet-resident page has been tampered with you will get killed when that one is read in anyway).
Maybe if you could explain a little more about why you want to verify the signature a better answer could be formed.
Note: Currently MacOS X does not verify signed code prior to execution. This may be different for sandboxed code, and it would seem sensible that it is otherwise anybody could edit the entitlements.
To check an applications signature from within the application itself you use the Code Signing Services. In particular look at SecCodeCheckValidity. The code to do the checking is not long, but there is quite a bit to understand so I won't give a code sample - you need to read and understand the documentation.
Checking the signature allows your application to detect changes to its code & resources and report it is "damaged" (it may well be, not all changes are malicious) and refuse to run. Adding such code does not of course guarantee your code is not damaged, but certainly it does raise the barrier higher against intentional damage (and if MacOS X starts doing the check itself then there will be a big win).
The way signiture verification is implemented on iOS is that when an application is being launched, the launchd daemon decrypts the binary using that device's specific private key (this is why you can't just decompile apps or copy-paste them from one device to another), if the decryption fails, the application fails to launch.
The native tools that do this are not available within applications due to the iOS sandboxing.
If you're simply attempting to track if someone has modified your binary, you can perform an MD5 or SHA1 hash of it, store it in NSUserDefaults and compare it at each app start. If the hash changes between executions you know it has been modified (possibly by a legitimate application update or possibly nefariously.)
Here's an example on how to get the hash of an NSData.
The binary file you're looking for is: AppName.app/AppName

Application failed codesign verification - again?

Ok. I know. This has been covered 100^1000 times here and everywhere, but I have been trying to create my .ipa for submission for the past week (not kidding, thats how much I spent working on just this) and I keep getting this warning. BTW - not sure it makes a difference, but thats an iPad app.
I am getting this warning:
warning: Application failed codesign verification. The signature was invalid, or it was not signed with an iPhone Distribution Certificate. (-19011)
codesign_wrapper-0.7.10: using Apple CA for profile evaluation
Illegal entitlement key/value pair: com.apple.developer.ubiquity-kvstore-identifier, 6366MSW2TK.com.JudgeIt.JudgeIt
Illegal entitlement key/value pair: com.apple.developer.ubiquity-container-identifiers, {type = mutable-small, count = 1, values = (
0 : {contents = "6366MSW2TK.com.JudgeIt.JudgeIt"}
AssertMacros: filter_entitlements(entitlements_whitelist, entitlements_requested, allowable_entitlements), file: codesign_wrapper.c, line: 932
- (null)
I tried:
Delete all the certificates and keys and start all over again
Unistall Xcode
Restarting my computer
Deleting build library
Cleaning project
Also attaching a screenshot of the Code Signing setting of my project - looks ok to me.
- I am using Xcode 4.2
- All certificates on Keychain are valid and I have one of each (developer, distribution, AWDR)
This might sound totally stupid, but that was the failure message when I wanted to validate my archive yesterday while submitting an app. I had used a "+" sign in the bundle name, and that was the problem source!! Renaming the required fields, I didn't get the code sign error anymore!!